
The string appended to the compiled file. Each style outputs to its own file. These files will append the suffix to the end of the file.

Type: null or string or raw lua code

Default: null

Plugin default: "_compiled"

Declared by:


The output directory path where the compiled results will be written to.

Type: null or string or raw lua code

Default: null

Plugin default:

  __raw = "vim.fn.stdpath('cache') .. '/nightfox'";

Declared by:


A boolean value that if set will set the background of Non current windows to be darker. See :h hl-NormalNC.

Type: null or boolean or raw lua code

Default: null

Plugin default: false

Declared by:


A table that contains a list of highlight types. If a highlight type is enabled it will inverse the foreground and background colors instead of applying the normal highlight group. Thees highlight types are: match_paren, visual, search.

For an example if search is enabled instead of highlighting a search term with the default search color it will inverse the foureground and background colors.

Type: null or (attribute set of (boolean or raw lua code)) or raw lua code

Default: null

Plugin default:

  match_paren = false;
  search = false;
  visual = false;

Declared by:


The default value of a module that has not been overridden in the modules table.

Type: null or boolean or raw lua code

Default: null

Plugin default: true

Declared by:


modules store configuration information for various plugins and other neovim modules. A module can either be a boolean or a table that contains additional configuration for that module. If the value is a table it also has a field called enable that will tell nightfox to load it. See |nightfox-modules| for more information.

By default modules will be enabled. To change this behaviour change options.module_default to false.

Type: null or (attribute set of (anything or raw lua code)) or raw lua code

Default: null

Plugin default:

  coc = {
    background = true;
  diagnostic = {
    background = true;
    enable = true;
  leap = {
    background = true;
  lsp_semantic_tokens = true;
  native_lsp = {
    background = true;
    enable = true;
  treesitter = true;

Declared by:

┌──
1.
Computed, not measured: 7 unconnected molecules or ions with the total composition C9H32O7, with ωB97M-V/def2-TZVPD.

```
48
Properties=species:S:1:pos:R:3:forces:R:3:nbo_charge:R:1
C -2.75983 -2.58511 1.04515 0.1 -0.1 -0.3 -0.63
C -1.25565 -2.55098 1.24425 0.3 0.7 -0.5 0.10
C -0.50130 -3.29648 0.14476 0.0 0.2 0.3 -0.63
O -0.81695 -1.17667 1.21833 -0.1 -0.3 0.3 -0.77
H -3.14724 -3.60396 0.98363 0.0 0.0 0.2 0.21
H -2.99258 -2.12293 0.07812 0.0 0.0 0.1 0.20
H -3.26645 -2.01853 1.82399 -0.1 -0.1 0.1 0.22
H -0.96591 -2.90211 2.23582 -0.1 -0.2 0.0 0.17
H -0.78420 -2.85926 -0.81566 0.0 -0.2 -0.1 0.21
H -0.69006 -4.37042 0.15740 -0.1 0.0 -0.1 0.20
H 0.56633 -3.11565 0.26595 0.0 -0.1 0.0 0.22
H -1.33564 -0.68843 0.55996 0.0 0.2 0.0 0.49
C 2.35516 -0.51441 2.17881 0.5 -0.1 -0.2 -0.64
C 1.48685 0.65372 2.58691 -0.4 -0.4 0.3 0.08
C 2.15054 1.53846 3.61815 0.6 0.1 -0.2 -0.63
O 1.14585 1.42597 1.41412 0.2 -0.1 0.5 -0.76
H 3.21526 -0.18962 1.58056 -0.1 0.1 0.0 0.21
H 1.81921 -1.27692 1.61247 -0.1 0.1 0.0 0.23
H 2.77575 -0.99389 3.06406 -0.1 0.0 0.1 0.22
H 0.55600 0.23062 2.98367 0.0 0.1 0.0 0.18
H 1.55540 2.43170 3.80470 0.0 0.0 0.1 0.21
H 3.12992 1.84976 3.24012 -0.1 0.2 0.0 0.22
H 2.34882 1.01065 4.55141 -0.3 0.0 0.0 0.21
H 0.39316 1.96439 1.68094 0.0 0.1 -0.3 0.49
C -4.00865 0.69806 -1.25424 0.0 -0.3 -0.3 -0.62
C -2.57376 0.52106 -1.71624 0.3 0.6 0.4 0.09
C -2.19067 1.42767 -2.87194 0.0 0.6 -0.4 -0.63
O -1.77019 0.88873 -0.57086 -0.3 -0.2 0.0 -0.77
H -4.12935 0.09416 -0.35418 -0.3 0.1 0.0 0.22
H -4.71434 0.36749 -2.01918 0.1 -0.2 0.0 0.21
H -4.25263 1.73889 -1.04522 0.2 0.1 0.2 0.21
H -2.38325 -0.53577 -1.93316 0.0 0.0 -0.2 0.16
H -1.11452 1.44882 -3.06645 0.0 -0.3 0.1 0.22
H -2.46966 2.45934 -2.62811 0.0 -0.1 0.1 0.21
H -2.66595 1.21248 -3.83231 -0.1 -0.3 0.2 0.22
H -0.84149 0.90461 -0.83728 0.2 -0.2 -0.1 0.50
O 0.83399 -0.75880 -3.66112 0.0 0.1 -0.2 -0.96
H 1.47745 -0.19174 -4.09660 -0.1 0.0 0.0 0.46
H 0.81862 -0.44688 -2.74514 0.0 -0.2 0.2 0.49
O 3.62067 3.18080 0.51829 0.0 0.0 -0.1 -0.95
H 3.00174 2.44160 0.46295 -0.1 0.0 0.2 0.48
H 4.40317 2.89798 0.03682 0.0 -0.1 0.0 0.47
O 1.01877 -0.00703 -0.86831 0.0 0.1 -0.2 -1.00
H 0.96575 -0.01803 0.09993 -0.3 0.0 -0.1 0.52
H 1.76407 0.58232 -1.03910 0.1 -0.1 -0.2 0.49
O 3.26802 1.23388 -2.30012 0.0 0.2 0.0 -0.96
H 3.16840 2.16532 -2.52344 0.0 0.0 0.0 0.48
H 3.79135 0.85515 -3.01259 0.0 -0.1 0.0 0.48
```
Positions in Å, forces in eV/Å.

Output
LUMO level   0.16 eV
Net charge   0
Spin multiplicity   1
Kohn-Sham gap   10.083 eV
Energy   -888.79010 hartree
ΔE to the lowest compared entry with this formula, charge and spin   0.00 kcal per mole
SMILES string   CC(C)O.CC(C)O.CC(C)O.O.O.O.O


2.
Computed, not measured: C16H20N4O4 in the gas phase in a non-equilibrium geometry, with ωB97M-V/def2-TZVPD.

```
44
Properties=species:S:1:pos:R:3:forces:R:3:nbo_charge:R:1
C -4.68091 0.05598 1.36784 0.0 1.2 0.5 -0.25
O -3.61393 0.15321 0.39872 1.7 -0.6 0.2 -0.52
C -2.35108 0.09245 0.96413 2.1 0.9 3.7 0.89
└──
(So much for the records of molecules)


A table that contains a list of syntax components and their corresponding style. These styles can be any combination of |highlight-args|.

The list of syntax components are:

  • comments
  • conditionals
  • constants
  • functions
  • keywords
  • numbers
  • operators
  • preprocs
  • strings
  • types
  • variables

Type: null or (attribute set of (string or raw lua code)) or raw lua code

Default: null

Plugin default:

  comments = "NONE";
  conditionals = "NONE";
  constants = "NONE";
  functions = "NONE";
  keywords = "NONE";
  numbers = "NONE";
  operators = "NONE";
  preprocs = "NONE";
  strings = "NONE";
  types = "NONE";
  variables = "NONE";


  comments = "italic";
  functions = "italic,bold";

Declared by:


A boolean value that if set will define the terminal colors for the builtin terminal (vim.g.terminal_color_*).

Type: null or boolean or raw lua code

Default: null

Plugin default: true

Declared by:


A boolean value that if set will disable setting the background of Normal, NormalNC and other highlight groups. This lets you use the colors of the colorscheme but use the background of your terminal.

Type: null or boolean or raw lua code

Default: null

Plugin default: false

Declared by: